Dreadful Accident on the Sussex
Railroad - On Friday last as the morning passenger train train
on the Sussex Railroad, was proceeding on its journey between Waterloo
and Newton, at its usual rate of speed, on arriving at the junction
of the old mine road, about a half mile north of Andover, the large
and powerful engine "Franklin" by which the train was drawn, suddenly
mounted the rails on the curve of the road at that point, and the
passenger car becoming disengaged from the locomotive it was suddenly
whirled down an embankment twenty feet high, a complete wreck. The
car containing some twenty five or thirty passengers, landed about
fifty feet from the center of the road up-side down, carrying terror
and consternation among the maimed and wounded passengers, whilst
the locomotive, tender and baggage car passed about 150 yards up the
railroad beyond, in an entirely different direction from the demolished
car, before its speed was arrested. The car in making its fearful
leap had parted with the forward truck at the edge of the railroad
embankment, whilst the body of the passenger coach itself, passed
nearly a length beyond them, the forward part of the car crushed to
the ground, whilst the latter portion rested against a telegraph pole
at an angle, but completely reversed. Being ourself among the unfortunates,
and the only one among the passengers who maintained his equilibrium
during the fearful scene, we can say, that for the first moment after
the concussion, there was a silence in the car fearful as death. During
the whirl of the car in the air all the passengers were thrown from
their seats, and revolved in the angles of the car amid the stove,
ashes, wood-work, lamps, plate-glass, cushions and seats, until they
Crystal structures from another source follow.
=====
[1]
Starting from the PBE geometry in the Materials Project, the powder X-ray diffraction pattern of SmGe2Pt2 was simulated for Cu Ka.
No peak broadening, texture or thermal motion is included.

Top 8 peaks for 2θ = 10–90°, low angle first:
2theta	I_rel	index
30.39	30	1 1 1
33.63	63	1 0 3
34.13	100	1 1 2
41.55	76	2 0 0
46.49	35	1 1 4
54.47	33	2 1 3
60.21	25	2 2 0
71.06	24	3 1 2

Cell and atoms:
```
data_SmGe2Pt2
_symmetry_space_group_name_H-M 'P 4/n m m'
_symmetry_Int_Tables_number 129
_cell_length_a 4.347
_cell_length_b 4.347
_cell_length_c 10.120
_cell_angle_alpha 90.00
_cell_angle_beta 90.00
_cell_angle_gamma 90.00
loop_
_symmetry_equiv_pos_as_xyz
'x,y,z'
'-x,-y,-z'
'-y+1/2,x,z'
'y+1/2,-x,-z'
'-x+1/2,-y+1/2,z'
'x+1/2,y+1/2,-z'
'y,-x+1/2,z'
'-y,x+1/2,-z'
'x+1/2,-y,-z'
'-x+1/2,y,z'
'-y,-x,-z'
'y,x,z'
'-x,y+1/2,-z'
'x,-y+1/2,z'
'y+1/2,x+1/2,-z'
'-y+1/2,-x+1/2,z'
loop_
_atom_site_label
_atom_site_fract_x
_atom_site_fract_y
_atom_site_fract_z
_atom_site_occupancy
Sm1 0.250 0.250 0.248 1
Ge1 0.250 0.250 0.633 1
Ge2 0.250 0.750 0.000 1
Pt1 0.250 0.250 0.875 1
Pt2 0.250 0.750 0.500 1
```

=====

[2]
Starting from the PBE geometry in the Materials Project, the powder X-ray diffraction pattern of Pr4MnS7 was simulated for Cu Ka.
No peak broadening, texture or thermal motion is included.

Top 8 peaks for 2θ = 10–90°, low angle first:
2theta	I_rel	index
24.30	100	2 0 1
25.08	16	0 0 2
32.79	47	2 0 2
33.89	22	3 0 1
36.40	46	2 2 0
43.72	33	2 0 3
44.25	19	4 0 1
44.72	16	2 2 2

Cell and atoms:
```
data_Pr4MnS7
_symmetry_space_group_name_H-M 'P 63'
_symmetry_Int_Tables_number 173
_cell_length_a 9.8724
_cell_length_b 9.8724
_cell_length_c 7.1005
_cell_angle_alpha 90.00
_cell_angle_beta 90.00
_cell_angle_gamma 120.00
loop_
_symmetry_equiv_pos_as_xyz
'x,y,z'
'x-y,x,z+1/2'
'-y,x-y,z'
'-x,-y,z+1/2'
'-x+y,-x,z'
'y,-x+y,z+1/2'
loop_
_atom_site_label
_atom_site_fract_x
_atom_site_fract_y
_atom_site_fract_z
_atom_site_occupancy
Pr1 0.1799 0.3779 0.0000 1
Pr2 0.3333 0.6667 0.4531 1
Mn1 0.0000 0.0000 0.2544 1
S1 0.0728 0.5436 0.2353 1
S2 0.1201 0.2478 0.6046 1
S3 0.3333 0.6667 0.8332 1
```

=====

Record 1
Starting from DFT lattice parameters and positions (GGA-PBE), the PXRD pattern of CsNd2CuTeSe3 was simulated for Cu Ka.
Peak positions follow from Bragg's law for the DFT cell and can differ from measured ones.

Crystal structure
```
16
Lattice="2.167 -7.579 0.000 2.167 7.579 0.000 0.000 0.000 15.048" Properties=species:S:1:pos:R:3 pbc="T T T"
Cs 2.167 5.724 11.286
Cs 2.167 -5.724 3.762
Nd 2.167 2.028 8.341
Nd 2.167 2.028 14.231
Nd 2.167 -2.028 0.817
Nd 2.167 -2.028 6.707
Cu 2.167 5.092 3.762
Cu 2.167 -5.092 11.286
Te 2.167 1.023 11.286
Te 2.167 -1.023 3.762
Se 0.000 0.000 0.000
Se 0.000 0.000 7.524
Se 2.167 3.724 1.639
Se 2.167 3.724 5.885
Se 2.167 -3.724 9.163
Se 2.167 -3.724 13.409
```

The 8 most intense peaks (2θ = 10–90°), most intense first:
| 2θ/deg | Rel. int. |
| --- | --- |
| 29.64 | 100 |
| 27.76 | 76 |
| 40.52 | 39 |
| 41.67 | 33 |
| 36.84 | 30 |
=====
So much for the crystal structures.
were, completely bewildered or stunned by the violence of the concussion.
The passengers in the hind most, or south-western portion of the car,
were thrown violently forward into one indescribable mass among the
wounded. The screams of the wounded and terror-stricken for help soon
filled the saloon, and the work of disengaging them from the ruin
commenced. There were some six or eight lady passengers; of these
four were nearly helpless, either from fright, or wounds; and also
two or three gentlemen, who in turn were extricated from their perilous
situation, and taken to the dwelling of Mr. George Young, near Andover,
who opened his house for the accommodation of the wounded. Among those
most severely injured was the wife of a Mr. ____ Strait, of Canisteer;
Miss Martha Coursen, daughter of the late Wm. Coursen, of this place,
residing in Newark; Mrs. Seal, wife of Mr. ____ Seal, of Newton;the
well-known pedlar Fox, and his son, of New York, both badly injured;
and V. M. Drake, of Newton, leg badly bruised. Others sustained contusions
more or less violent, but not seriously injured. The conductor, engineer,
fireman, and brakemen of the train promptly came to our assistance,
and in a short time all were safely quartered with Mr. Youngs, who
with his wife, done everything in their power to comfort the bleeding,
fainting and wounded men and women who were so suddenly precipitated
in their midst. Dr. Millar being sent for, soon arrived and prescribed
with his usual medical skill for all. Old Mr. Fox was severely cut
above the eye; and his son badly injured in the back or loins; Miss
Coursen, in the head; and the other ladies sustained internal injuries
of a serious character, although none have died. All were taken home
the same day, or the day following, except Miss Coursen, who still
remains at Mr. Youngs, in a precurious (sic) condition.
Among the passengers who thus narrowly
escaped death we noticed Hon. H. C. Clark; Wm. M. Iliff, Esq., of
Andover; John Coursen, of Newton; Samuel T. Smith, of Waterloo; two
daughters of Theodore S. Anderson, Newton; Railroad Contractor Smith,
of Franklin; Mr. Strait of Canisteer, and others whose names we do
not recollect. We cannot say too much in praise of the courage and
self- possession of the above named gentlemen in aiding the wounded
and helpless in their extremity. Mr. Samuel T. Smith made the connection
with the telegraph wire, and sent a dispatch to Newton for assistance,
which arrived on a train shortly after two o'clock, and returning
brought back several of the wounded back to Newton. The accident was
caused by defective and rotten ties, which under the pressure of a
heavy locomotive, had drawn the spikes, and spread the rails apart,
so that when the passenger car reached its point of exit, there was
a space of eighteen inches between the connecting bars. A similar
accident occurred at this curve some years ago, when a whole train
was run off near Mr. Youngs' dwelling. With the demolished railroad
car before them, and the narrow escape of so many precious lives,
a sense of gratitude was expressed by many of the passengers for their
Providential deliverance. This feeling was shared in by all apparently,
but old Fox the pedlar, who dripping with blood from head to foot,
and contemplating the rotten ties which led to the disaster, in his
indignation exclaimed: "G__d d__m the Sussex Railroad to h__l." which
we will not say was not mentally responded to, to a certain extent,
by others.